

Zur Genealogie der Moral
Zur Genealogie der Moral
Friedrich Nietzsche
Das Werk, das aus einer Vorrede und drei ?Abhandlungen“ besteht, geh?rt zu den einflussreichsten Schriften Nietzsches. Er legte hier keine Aphorismen vor wie in den meisten anderen seiner Werke, sondern l?ngere, systematische Texte mit durchaus wissenschaftlichem Anspruch: Er stellt darin soziologische, historische und psychologische Thesen auf. Nietzsche wollte anders als klassische Moralphilosophen keine Moral herleiten oder begründen, sondern die geschichtliche Entwicklung und die psychischen Voraussetzungen bestimmter moralischer Wertvorstellungen nachvollziehen. Er fragt also nicht, wie die Menschen handeln sollten, sondern warum Menschen (Einzelne oder Gruppen) glauben, sie sollten auf bestimmte Weise handeln, oder andere dazu bringen wollen, so oder so zu handeln.
Also sprach Zarathustra
Also sprach Zarathustra
What comes next are data records, not part of the entry:
- - -
# 1
{
  "formula": "C43H34F3NP2PdSSi",
  "method": "the ωB97M-V functional and the def2-TZVPD basis",
  "species": ["Pd", "C", "Si", "C", "C", "C", "C", "C", "C", "P", "C", "C", "C", "C", "C", "C", "C", "C", "C", "C", "C", "C", "C", "C", "C", "C", "C", "C", "P", "C", "C", "C", "C", "C", "C", "C", "C", "C", "C", "C", "C", "H", "H", "H", "H", "H", "H", "H", "H", "H", "H", "H", "H", "H", "H", "H", "H", "H", "H", "H", "H", "H", "H", "H", "H", "H", "H", "H", "H", "H", "H", "H", "F", "C", "F", "F", "C", "C", "C", "C", "N", "C", "S", "H", "H", "H"],
  "coordinates": [[1.296, -0.384, 0.173], [1.990, -1.367, 3.828], [1.036, -0.444, 2.444], [0.777, 1.308, 3.203], [1.397, 1.731, 4.382], [1.294, 3.037, 4.846], [0.554, 3.964, 4.131], [-0.073, 3.574, 2.952], [0.040, 2.270, 2.477], [-0.796, 1.707, 0.919], [-1.956, 3.147, 0.692], [-3.197, 3.047, 1.322], [-4.147, 4.052, 1.212], [-3.880, 5.178, 0.442], [-2.657, 5.285, -0.206], [-1.705, 4.281, -0.080], [0.426, 2.086, -0.396], [-0.012, 1.977, -1.722], [0.836, 2.289, -2.773], [2.146, 2.678, -2.517], [2.601, 2.757, -1.211], [1.746, 2.472, -0.150], [-0.745, -1.181, 2.705], [-1.404, -1.149, 3.936], [-2.691, -1.645, 4.096], [-3.350, -2.199, 3.006], [-2.716, -2.248, 1.772], [-1.426, -1.740, 1.612], [-0.528, -1.754, -0.011], [-1.959, -1.935, -1.171], [-1.969, -2.835, -2.241], [-2.934, -2.761, -3.238], [-3.920, -1.785, -3.197], [-3.920, -0.875, -2.143], [-2.953, -0.944, -1.156], [0.096, -3.499, -0.034], [-0.677, -4.607, 0.308], [-0.153, -5.890, 0.247], [1.162, -6.086, -0.160], [1.945, -4.990, -0.498], [1.416, -3.708, -0.431], [1.515, -1.301, 4.816], [3.014, -0.992, 3.907], [2.052, -2.424, 3.555], [1.979, 1.017, 4.955], [1.793, 3.327, 5.765], [0.467, 4.988, 4.476], [-0.645, 4.310, 2.401], [-3.415, 2.159, 1.908], [-5.100, 3.952, 1.718], [-4.622, 5.962, 0.344], [-2.439, 6.156, -0.813], [-0.753, 4.377, -0.588], [-1.025, 1.642, -1.921], [0.487, 2.189, -3.794], [2.825, 2.877, -3.338], [3.637, 2.995, -1.011], [2.103, 2.537, 0.870], [-0.900, -0.703, 4.790], [-3.181, -1.593, 5.063], [-4.357, -2.588, 3.110], [-3.245, -2.667, 0.924], [-1.208, -3.605, -2.299], [-2.912, -3.476, -4.054], [-4.671, -1.727, -3.976], [-4.675, -0.098, -2.096], [-2.950, -0.209, -0.355], [-1.701, -4.461, 0.632], [-0.769, -6.739, 0.521], [1.574, -7.087, -0.206], [2.974, -5.126, -0.808], [2.031, -2.845, -0.670], [6.525, -0.472, -3.749], [5.514, 0.344, -4.103], [5.833, 1.579, -3.673], [5.597, 0.422, -5.471], [4.155, -0.119, -3.669], [3.240, -0.438, -4.651], [1.959, -0.835, -4.301], [1.660, -0.848, -2.948], [2.516, -0.557, -1.977], [3.812, -0.226, -2.278], [4.930, 0.042, -1.030], [3.527, -0.368, -5.692], [1.209, -1.091, -5.037], [0.657, -1.096, -2.614]],
- - -
Friedrich Nietzsche
Das Buch besteht aus vier Teilen. Der erste Teil erschien 1883, der zweite und dritte 1884, der vierte 1885 als Privatdruck. 1886 ver?ffentlichte Nietzsche die drei ersten Teile als ?Also sprach Zarathustra. Ein Buch für Alle und Keinen. In drei Teilen.“ Im Gegensatz zu den frühen Werken Nietzsches handelt es sich beim Zarathustra nicht um ein Sachbuch. In hymnischer Prosa berichtet ein personaler Erz?hler vom Wirken eines fiktiven Denkers, der den Namen des Persischen Religionsstifters Zarathustra tr?gt. Nietzsche selbst nennt den Stil, in dem Also sprach Zarathustra geschrieben ist, halkyonisch und wünscht sich Leser, die eines ?gleichen Pathos f?hig und würdig sind“: ?Man muss vor Allem den Ton, der aus diesem Munde kommt, diesen halkyonischen Ton richtig h?ren, um dem Sinn seiner Weisheit nicht erbarmungswürdig Unrecht zu tun“. Dass Nietzsche diese Leserschaft in seiner Gegenwart nicht gesehen hat, legt der Untertitel des Werkes nahe: ?Ein Buch für Alle und Keinen“.
(法)彭加勒 著,李醒民 译
[英]伯特兰·罗素 著
本书经历了几年时间的逐渐写作,并在担任一系列学术职务的过程中得以完成。1938年,在牛津大学所作的《语言与事实》的系列讲座中,我探讨了这个主题的一部分。这些讲座形成了1938~1939年在芝加哥大学以及1939 1940年在加州大学洛杉矶分校所设的研究班课程的基础。在这两次研究班上的讨论大大拓宽了我对所涉及的这些问题的理解,并且减少了我原先对于这个主题的语言学方面的强调。我必须表达一种欠情,即欠那此教授和学生们的集体人情;他们通过细致而又友好的批评使我避免了一些差错和谬误(我希望如此)。更特别的是,在芝加哥时,卡尔纳普和莫里斯教授时常参加研究班,而且一些研究生表现出了很强的哲学研究能力,从而使这些讨论成为富有成果的争论性合作的典范。诺曼·道尔凯先生参加了两个研究班,后来阅读了全书的手稿,我非常感激他谨慎而又令人兴奋的批评。后,在1940年夏季,我部分地从积累起来的材料中,部分地从对这个整个主题的重新思考中,准备了这些威廉.詹姆士讲座。
 《圣庙祀典图考》为清人顾沅编撰、孔继尧绘图,共五卷,收录孔子及由汉至清历代配祀孔庙者144人之画像,包括孔子弟子及历代名儒,并均附有人物小传。本书版刻画像生动,传文记人物生平及历代配祀孔庙情况,兼具观赏价值及史料价值,亦可视为历代名儒之图文列传。   顾氏此书,因前人诸书之互异缺略,广蒐博采,并参阅《白水碑》、《孔子家语》等文献,正其讹谬,订其异同,以清代所颁定从祀位次为准,补入多篇传记。并访求汉唐以来诸先贤画像绘入,若无旧像可循,则付之阙如。书前有康熙、乾隆御制赞文,书后附《崇圣祠考》一篇记孔子父祖及诸从祀者事迹,并附古本《圣迹图》一卷。   本次出版,以道光六年(1826)吴门赐砚堂顾氏刻本为底本,据相关史料文献校正部分文字,校记以小字随文括注。收录原书主体图传部分,将《崇圣祠考》作为附录,《圣迹图》已有多种版本单行,故本书不再收录。影印原书人物绘像,小传文字简体横排并加以标点,以便读者阅读使用。?
礼记(大字读本 简繁参照)
礼记(大字读本 简繁参照)
蒙养之学  传世经典《龙文鞭影》原名《蒙养故事》,是古代非常有名的汉族儿童启蒙读物。作者的寓意是,看了这本《龙文鞭影》,青少年就有可能成为“千里马”。《龙文鞭影》主要是介绍中国历史上的人物典故和逸事传说。它问世后,成为*受欢迎的童蒙读物之一。
A kalózkirály
A kalózkirály
Jókai Mór
Euthyphro (Ancient Greek: Euthuphron) is one of Plato's early dialogues, dated to after 399 BC. Taking place during the weeks leading up to Socrates' trial, the dialogue features Socrates and Euthyphro, a religious expert also mentioned at Cratylus 396a and 396d, attempting to define piety or holiness. Background The dialogue is set near the king-archon's court, where the two men encounter each other. They are both there for preliminary hearings before possible trials (2a).Euthyphro has come to lay manslaughter charges against his father, as his father had allowed one of his workers to die exposed to the elements without proper care and attention (3e–4d). This worker had killed a slave belonging to the family estate on the island of Naxos; while Euthyphro's father waited to hear from the expounders of religious law (exegetes cf. Laws 759d) about how to proceed, the worker died bound and gagged in a ditch. Socrates expresses his astonishment at the confidence of a man able to take his own father to court on such a serious charge, even when Athenian Law allows only relatives of the deceased to sue for murder. Euthyphro misses the astonishment, and merely confirms his overconfidence in his own judgment of religious/ethical matters. In an example of "Socratic irony," Socrates states that Euthyphro obviously has a clear understanding of what is pious and impious. Since Socrates himself is facing a charge of impiety, he expresses the hope to learn from Euthyphro, all the better to defend himself in his own trial. Euthyphro claims that what lies behind the charge brought against Socrates by Meletus and the other accusers is Socrates' claim that he is subjected to a daimon or divine sign which warns him of various courses of action (3b). Even more suspicious from the viewpoint of many Athenians, Socrates expresses skeptical views on the main stories about the Greek gods, which the two men briefly discuss before plunging into the main argument. Socrates expresses reservations about such accounts which show up the gods' cruelty and inconsistency. He mentions the castration of the early sky god, Uranus, by his son Cronus, saying he finds such stories very difficult to accept (6a–6c). Euthyphro, after claiming to be able to tell even more amazing such stories, spends little time or effort defending the conventional view of the gods. Instead, he is led straight to the real task at hand, as Socrates forces him to confront his ignorance, ever pressing him for a definition of 'piety'. Yet, with every definition Euthyphro proposes, Socrates very quickly finds a fatal flaw (6d ff.). At the end of the dialogue, Euthyphro is forced to admit that each definition has been a failure, but rather than correct it, he makes the excuse that it is time for him to go, and Socrates ends the dialogue with a classic example of Socratic irony: since Euthyphro has been unable to come up with a definition that will stand on its own two feet, Euthyphro has failed to teach Socrates anything at all about piety, and so he has received no aid for his own defense at his own trial (15c ff.).
A fekete vér
A fekete vér
Jókai Mór
The present publication is intended to supply a recognised deficiency in our literature—a library edition of the Essays of Montaigne. This great French writer deserves to be regarded as a classic, not only in the land of his birth, but in all countries and in all literatures. His Essays, which are at once the most celebrated and the most permanent of his productions, form a magazine out of which such minds as those of Bacon and Shakespeare did not disdain to help themselves; and, indeed, as Hallam observes, the Frenchman's literary importance largely results from the share which his mind had in influencing other minds, coeval and subsequent. But, at the same time, estimating the value and rank of the essayist, we are not to leave out of the account the drawbacks and the circumstances of the period: the imperfect state of education, the comparative scarcity of books, and the limited opportunities of intellectual intercourse. Montaigne freely borrowed of others, and he has found men willing to borrow of him as freely. We need not wonder at the reputation which he with seeming facility achieved. He was, without being aware of it, the leader of a new school in letters and morals. His book was different from all others which were at that date in the world. It diverted the ancient currents of thought into new channels. It told its readers, with unexampled frankness, what its writer's opinion was about men and things, and threw what must have been a strange kind of new light on many matters but darkly understood. Above all, the essayist uncased himself, and made his intellectual and physical organism public property. He took the world into his confidence on all subjects. His essays were a sort of literary anatomy, where we get a diagnosis of the writer's mind, made by himself at different levels and under a large variety of operating influences. Of all egotists, Montaigne, if not the greatest, was the most fascinating, because, perhaps, he was the least affected and most truthful. What he did, and what he had professed to do, was to dissect his mind, and show us, as best he could, how it was made, and what relation it bore to external objects. He investigated his mental structure as a schoolboy pulls his watch to pieces, to examine the mechanism of the works; and the result, accompanied by illustrations abounding with originality and force, he delivered to his fellow-men in a book. W. C. H. KENSINGTON, November 1877. THE LIFE OF MONTAIGNE The author of the Essays was born, as he informs us himself, between eleven and twelve o'clock in the day, the last of February 1533, at the chateau of St. Michel de Montaigne. His father, Pierre Eyquem, esquire, was successively first Jurat of the town of Bordeaux (1530), Under-Mayor 1536, Jurat for the second time in 1540, Procureur in 1546, and at length Mayor from 1553 to 1556. He was a man of austere probity, who had "a particular regard for honour and for propriety in his person and attire . . . a mighty good faith in his speech, and a conscience and a religious feeling inclining to superstition, rather than to the other extreme. Between 1556 and 1563 an important incident occurred in the life of Montaigne, in the commencement of his romantic friendship with Etienne de la Boetie, whom he had met, as he tells us, by pure chance at some festive celebration in the town. From their very first interview the two found themselves drawn irresistibly close to one another, and during six years this alliance was foremost in the heart of Montaigne, as it was afterwards in his memory, when death had severed it.
房龙从人文主义的立场出发,站在全人类的高度重新审视人类由史前时代、古希腊、古罗马时代、中世纪、文艺复兴时代到现代的几千年文明的变迁,期间善与恶,黑暗与光明,步与反动的不断搏杀,勾勒出一幅波澜壮阔的人类思想解放史。房龙将一部欧洲“思想解放史”,改写成一部宽容与专横的斗争历史,他行走于人类自身的宽容与偏执、美德与现实的对立交锋之间,深度剖析人类精神上“不宽容”的原因,讲述人类奋斗与自我救赎的跌宕传奇。房龙认为宽容就是“自己活,也让别人活”,他提倡 以理性和宽容代替无知与偏执,并指出人类只有消除了自身的恐惧,才能从根本上消除不宽容。这是一部描写人类思想发展史、畅销近百年的通俗历史读本,是关于宽容和自由思想的人文主义经典之作。
Getting Used to Weird: A very different sort of Love Story
Getting Used to Weird: A very different sort of Love Story
Lorelle Taylor
Are you awakening spiritually and feeling weird?You’re not alone. Truly, you are not alone. You have many spiritual helpers, and just like Angela, you can learn to communicate with them and enlist their support. Lorelle Taylor’s extraordinary book traces Angela’s journey from normal to weird. Join her as she confronts challenges and undertakes deeply spiritual lessons while exploring the biggest questions. Learn about life and death from angels, spirit guides, Jesus and God. Discover how to overcome obstacles in your own path as you too discover the secrets for a fulfilled and happy life. Start reading?Getting Used to Weird: A very different sort of Love Story?today and you’ll discover that on this journey, you’re also getting used to love. You’ll come away with the knowledge that “Love is the answer to all questions.”